Data >
'''
DFT (the ωB97M-V functional and the def2-TZVPD basis) results for C39H31CuN10OS as an isolated structure at a distorted geometry.

```
! RIJCOSX wB97M-V def2-TZVPD def2/J DEFGRID3
* xyz -1 2
Cu -0.4581 -1.4175 0.2509
C -0.5741 -1.6183 4.4181
C -0.7210 -1.3758 3.0591
N -0.3417 -2.2436 2.1164
C 0.1601 -3.4715 2.4280
C 0.4529 -3.7570 3.7723
C 0.0904 -2.7990 4.7347
C 1.0788 -5.0033 4.1103
C 1.3811 -5.8904 3.1069
C 0.9325 -5.7215 1.7599
C 1.1752 -6.6923 0.7714
C 0.7289 -6.4490 -0.5529
C 0.0668 -5.2850 -0.8620
N -0.1517 -4.3115 0.0904
C 0.3522 -4.4610 1.4119
H -0.8918 -0.9413 5.1936
H -1.2278 -0.4768 2.6344
H 0.1787 -3.0663 5.7939
H 1.3859 -5.2722 5.1176
H 1.9068 -6.8194 3.3687
H 1.6147 -7.6517 0.9499
H 0.9908 -7.1226 -1.3516
H -0.3186 -5.0781 -1.8462
C 2.9156 2.5405 -1.5636
N 2.1218 1.5927 -0.7057
C 1.1626 0.6754 -0.9969
N 0.7841 0.0892 0.1252
C 1.6366 0.5348 1.0746
N 2.4948 1.4138 0.6277
C 2.1512 3.7415 -2.0568
C 2.9805 4.6727 -2.7096
C 2.3824 5.8432 -3.1871
C 1.0144 6.0753 -3.0940
C 0.2682 5.1157 -2.4262
C 0.7927 3.9394 -1.9236
C -1.1234 5.3627 -2.2512
N -1.8464 6.2609 -2.8086
N -3.1869 5.9914 -2.4240
C -3.1837 5.0023 -1.6101
O -1.9113 4.4524 -1.4355
C -4.3641 4.4071 -1.0703
C -5.5676 5.0925 -1.1540
C -6.6831 4.4803 -0.6465
C -6.6280 3.2126 -0.0735
C -5.3926 2.5076 -0.0237
C -5.4406 1.0866 0.5149
N -4.2670 0.2513 0.0842
C -3.0468 0.0307 0.6150
N -2.3576 -0.7689 -0.1816
C -3.1894 -0.9988 -1.2177
N -4.3672 -0.4608 -1.1213
C -4.2363 3.1312 -0.5006
H 3.2488 1.9286 -2.4290
H 3.8183 2.8124 -0.9626
H 0.6660 0.5448 -1.9389
H 1.6285 0.1368 2.0731
H 4.0603 4.5453 -2.7473
H 2.9810 6.6355 -3.6549
H 0.5513 7.0247 -3.4091
H 0.0853 3.2995 -1.4098
H -5.5906 6.0809 -1.6136
H -7.5959 5.0435 -0.6452
H -7.5058 2.7959 0.4082
H -6.3306 0.6131 0.1004
H -5.4523 1.0579 1.6426
H -2.6158 0.4515 1.5209
H -2.8862 -1.5857 -2.0767
H -3.2626 2.6926 -0.5240
S 2.7661 -2.7759 -1.0604
C 4.2932 -2.2769 -0.5086
C 4.8595 -2.7413 0.7204
C 6.1440 -2.3816 1.1223
C 6.8894 -1.4974 0.3469
C 6.3711 -1.0171 -0.8653
C 5.0861 -1.3732 -1.2735
H 4.2113 -3.3674 1.3675
H 6.5831 -2.7619 2.0383
H 7.8603 -1.1318 0.6935
H 6.9592 -0.3719 -1.5271
H 4.6502 -0.9558 -2.2165
C -1.0188 -3.2207 -0.3093
H -1.1786 -3.2962 -1.3909
H -1.9997 -3.2587 0.1937
*
```

## Properties
HOMO level (spin up / spin down)   -1.9 / -2.5 eV
E_LUMO (spin up / spin down)   1.175 / 1.175 eV
Frontier orbital gap (spin up / spin down)   3.057 / 3.644 eV
E   -113367.522 eV
Largest force on an atom   3.03 eV/Å

=====

The following is a DFT calculation (ωB97M-V/def2-TZVPD) of one molecule with the formula C9H9ClN2 at a distorted geometry.

**Gap between HOMO and LUMO**: 7.440 eV
**Lowest unoccupied orbital energy**: -0.15 eV
**SMILES string**: C=C1C=CC=C[C@@H]1N=C=C(N)Cl
**Total charge**: 0
**E_HOMO**: -7.59 eV
**Energy above the lowest of the compared OMol25 structures with the same formula, charge and spin**: 101.1 kcal per mole
**Spin multiplicity**: 1

XYZ file:
```
21
Properties=species:S:1:pos:R:3:lowdin_charge:R:1
Cl 1.867 -3.322 -1.063 0.572
N 3.054 -0.934 -0.874 0.019
N -0.276 -0.243 -1.550 0.164
C -0.549 1.450 0.170 -0.282
C -2.168 -0.508 -0.168 -0.071
C 1.745 -1.522 -0.850 -0.681
C -1.013 -0.175 1.905 -0.082
C 0.167 2.439 -0.349 0.078
C -1.296 0.527 -0.794 -0.268
C -1.943 -0.868 1.067 -0.133
C 0.694 -0.851 -1.199 -0.152
C -0.272 0.909 1.467 -0.060
H 2.874 -0.108 -0.409 0.035
H -2.951 -0.978 -0.891 0.148
H -2.352 -1.778 1.605 0.128
H 0.033 2.650 -1.387 0.065
H 0.434 1.335 2.192 0.115
H 0.934 2.964 0.155 0.059
H -0.860 -0.597 2.966 0.128
H -1.869 1.117 -1.581 0.155
H 3.748 -1.505 -0.411 0.065
```

=====

Record 1
A 2-piece molecular cluster, C6H14NOP overall at a distorted geometry, computed with the ωB97M-V functional and the def2-TZVPD basis.

Geometry as ORCA input:
```
! RIJCOSX wB97M-V def2-TZVPD def2/J DEFGRID3
* xyz 0 1
C 0.9689 -0.5974 1.3525
C 0.4121 -1.2386 2.6149
C 2.2487 -0.2378 1.2152
C -0.1329 -2.5150 -0.7852
C -1.3695 3.8109 -2.5813
C -0.8220 -1.3652 -0.1861
N 0.0672 -0.3441 0.3999
'''
Job >
Your job: echo the part of the entries earlier on that starts with the line with "0.3522 -4.4610" and stops after the one with "-0.6465".
Done >
C 0.3522 -4.4610 1.4119
H -0.8918 -0.9413 5.1936
H -1.2278 -0.4768 2.6344
H 0.1787 -3.0663 5.7939
H 1.3859 -5.2722 5.1176
H 1.9068 -6.8194 3.3687
H 1.6147 -7.6517 0.9499
H 0.9908 -7.1226 -1.3516
H -0.3186 -5.0781 -1.8462
C 2.9156 2.5405 -1.5636
N 2.1218 1.5927 -0.7057
C 1.1626 0.6754 -0.9969
N 0.7841 0.0892 0.1252
C 1.6366 0.5348 1.0746
N 2.4948 1.4138 0.6277
C 2.1512 3.7415 -2.0568
C 2.9805 4.6727 -2.7096
C 2.3824 5.8432 -3.1871
C 1.0144 6.0753 -3.0940
C 0.2682 5.1157 -2.4262
C 0.7927 3.9394 -1.9236
C -1.1234 5.3627 -2.2512
N -1.8464 6.2609 -2.8086
N -3.1869 5.9914 -2.4240
C -3.1837 5.0023 -1.6101
O -1.9113 4.4524 -1.4355
C -4.3641 4.4071 -1.0703
C -5.5676 5.0925 -1.1540
C -6.6831 4.4803 -0.6465